Last weekend I appeared in the Sunday supplement of El País, a leading Spanish national newspaper. It’s an article about people who decided to swap their urban lives for a rural one and the difficulties and challenges that presents. I am very proud to have been asked to be a […]
Oretani Wildlife
There is a pond to the north of Daimiel not far from the Tablas de Daimiel National Park called the Laguna de Navaseca. It’s not very big but is always full of life. It is a delightful place for any birder, or even one not so interested, who loves to […]
-- Next to the entry, the page also holds data records --
~~~
(1)
{"formula": "C16H34OP2Sr", "method": "ωB97M-V/def2-TZVPD", "elements": ["P", "P", "C", "C", "H", "H", "H", "H", "C", "H", "H", "H", "C", "H", "H", "H", "C", "H", "H", "H", "C", "H", "H", "H", "Sr", "C", "C", "C", "C", "C", "C", "C", "C", "C", "H", "H", "H", "H", "H", "H", "H", "H", "H", "H", "H", "H", "H", "H", "H", "C", "O", "H", "H", "H"], "coordinates": [[-0.6246, 0.5469, 2.4984], [-1.8468, -1.1180, -1.6095], [-0.1543, -0.2065, 0.8868], [-1.0376, 0.0974, -0.3805], [0.3502, -1.2042, 0.9729], [0.7521, 0.3431, 0.6845], [-1.8551, 0.7994, -0.1299], [-0.3795, 0.6742, -1.0623], [-0.4907, -2.3714, -1.7476], [-0.9501, -3.3718, -1.8624], [0.2535, -2.3835, -0.9145], [0.0798, -2.1984, -2.6629], [-1.8977, -0.4115, -3.2875], [-0.9371, -0.4982, -3.8154], [-2.2284, 0.6368, -3.2554], [-2.6400, -0.9906, -3.8662], [0.7941, 0.4013, 3.5881], [0.4647, 0.2804, 4.6312], [1.4150, 1.3015, 3.5197], [1.3815, -0.4792, 3.2979], [-1.1992, 2.2230, 2.2527], [-1.7302, 2.3316, 1.2996], [-0.3609, 2.9297, 2.2705], [-1.8923, 2.5018, 3.0626], [-1.3620, -2.4628, 0.7985], [1.2469, 0.7455, -2.5627], [1.8899, -0.4043, -2.2786], [3.3137, -0.4535, -1.8527], [3.7187, 0.6107, -0.7865], [2.6406, 0.9364, 0.1841], [1.7497, 1.9471, 0.0263], [1.6850, 2.8372, -1.1674], [1.8639, 2.1147, -2.5247], [-1.9339, -0.4476, 3.1982], [0.2727, 0.7317, -3.0790], [1.5522, -1.3273, -2.7443], [3.9241, -0.3123, -2.7657], [3.5704, -1.4487, -1.4632], [4.5795, 0.2160, -0.2160], [4.0538, 1.5297, -1.2791], [2.7170, 0.3973, 1.1382], [1.1960, 2.3340, 0.8973], [2.4851, 3.5929, -1.0261], [0.7342, 3.3970, -1.1835], [1.3740, 2.7315, -3.3022], [2.9218, 2.0638, -2.7992], [-2.8066, -0.5052, 2.5404], [-2.2366, 0.1005, 4.1078], [-1.6179, -1.4512, 3.5040], [-4.6388, -3.4873, 2.0910], [-3.3831, -3.0783, 1.5715], [-4.8719, -4.4492, 1.6226], [-5.3629, -2.7129, 1.8110], [-4.5420, -3.5793, 3.1688]], "lowdin_charge": [0.8372, 0.8032, -0.5034, -0.4165, -0.0517, -0.0066, 0.0529, 0.0361, -0.4008, 0.0356, -0.0340, 0.0154, -0.3052, 0.0250, 0.0503, 0.0481, -0.2146, 0.0573, 0.0560, 0.0380, -0.1891, 0.0568, 0.0512, 0.0619, 0.8487, -0.1360, -0.1202, -0.1767, -0.1795, -0.1244, -0.1605, -0.1844, -0.1785, -0.2478, 0.0724, 0.0794, 0.1225, 0.1009, 0.1155, 0.0996, 0.0975, 0.0807, 0.1225, 0.1085, 0.1163, 0.1009, 0.0574, 0.0645, 0.0363, -0.2871, -0.6918, 0.0564, 0.0537, 0.0498], "homo_ev": [-2.814, -2.784], "fmax_ev_per_a": 3.68, "e_above_lowest_ev": 6.245, "lumo_energy_ev": [0.023, 0.015], "charge": 0, "multiplicity": 1, "gap_ha": [0.1043, 0.1029], "energy_ev": -38595.474}

***

(2)
~~~
Yesterday I was in Fernan Caballero, a small village in the Montes Norte region, to help organise an ornithological walking tour. The town council, as part of a program of showing the local people the richness of the flora and fauna right on their doorstep, want to do an excursion […]
Bearded Reedlings – a Year Round Resident One of my favourite passerines is the elusive, but well worth the effort of finding, Bearded Reedling (Panurus biarmicus), also known as the Bearded Tit but it is not a Tit, which is a year-round resident in Castilla la Mancha, Central Spain. They […]
The burst banks of the Guadiana, where I sat for my interview. Approximately 40km west of Ciudad Real on the “road to Portugal” lies Luciana at the point where the Rivers Bullaque and Guadiana meet. It’s a picturesque spot, popular with families who like to go there for a picnic […]
Here at Oretani Wildlife it’s not all about birds, or more recently about the construction of our guest accommodation, or the rain which hasn’t stopped either. We also offer a cultural view of our region, Castilla la Mancha, to our guests. And what could be more of a colourful and […]
Oretani Wildlife is based in a village called Picón in an area called Montes, which is a comarca, or region of Ciudad Real made up of a few small towns and pueblos or villages. Known formally as Montes, the area has set up an association between the towns and villages […]
So nearly another month has gone by and the weather has been somewhat unkind to us. There has been plenty of rain and even some snow. Personally I don’t mind the rain, we need the water here, but it sure messes up a builders schedule. Anyway, we left off in […]
So, it’s been a while since I updated this blog, my Flickr account or anything really. I haven’t disappeared, I’ve just been busy. Sort of… The story is that, as some of you know, myself and Mrs. HibernoManchego bought ourselves a “casa de pueblo” in 2011 in a beautiful little […]
Truxalis nasuta I have spoken before of camouflage in both the insect world here and here, and of the avian world. The other day Mrs HibernoManchego and myself took a detour to a small reservoir near our new village. She had not seen it yet and I had only discovered […]